== Request ==
Please find the line underneath that holds "(16.273, 10.446,", then set down that line and all lines after it there.

== Contents ==
=====
Record 1
The molecule C4H5NOS, computed with ωB97M-V/def2-TZVPD.

Results
Molar mass: 115.16 Da
Structure (SMILES): C=CCOSC#N
LUMO level: 0.1 eV
HOMO: -9.659 eV
Energy above the lowest of the compared OMol25 structures with the same formula, charge and spin: 3.253 eV

CARTESIAN COORDINATES (ANGSTROEM)
C (-0.970, -0.446, 0.494)
C (-0.137, 0.237, -0.312)
C (1.293, 0.221, -0.315)
O (1.591, 1.518, 0.309)
S (1.262, 2.899, -0.491)
C (-0.213, 3.351, 0.189)
N (-1.041, 3.868, 0.776)
H (-2.130, -0.392, 0.469)
H (-0.438, -1.084, 1.143)
H (-0.583, 0.800, -1.049)
H (1.706, -0.067, -1.295)
H (1.671, -0.436, 0.368)



Record 2
The molecule C2H5N3O, computed with ωB97M-V/def2-TZVPD.

Results
Molar mass: 87.08 Da
Structure (SMILES): [H]/N=C(\N)NC=O
LUMO level: 0.3 eV
HOMO: -9.390 eV
Energy above the lowest of the compared OMol25 structures with the same formula, charge and spin: 2.394 eV

CARTESIAN COORDINATES (ANGSTROEM)
H (-0.021, -2.254, 0.562)
N (-0.431, -1.523, -0.044)
C (0.213, -0.428, 0.220)
N (1.291, -0.337, 1.052)
N (-0.125, 0.761, -0.344)
C (-1.453, 0.965, -0.889)
O (-1.640, 1.928, -1.653)
H (1.701, 0.567, 1.296)
H (2.062, -1.293, 0.864)
H (0.697, 1.515, -0.633)
H (-2.296, 0.098, -0.433)



Record 3
A cluster of 15 separate species, C66H169N7O22 in total, computed with ωB97M-V/def2-TZVPD.

Results
Molar mass: 1413.11 Da
LUMO level: 0.4 eV
HOMO: -8.341 eV
Energy above the lowest of the compared OMol25 structures with the same formula, charge and spin: 2.458 eV

CARTESIAN COORDINATES (ANGSTROEM)
C (24.279, 14.513, 18.661)
C (25.332, 13.462, 19.105)
C (25.548, 12.494, 17.974)
O (26.591, 14.022, 19.241)
H (24.130, 15.357, 19.335)
H (23.276, 14.087, 18.636)
H (24.477, 14.976, 17.694)
H (25.037, 13.009, 20.051)
H (25.801, 12.910, 16.999)
H (24.712, 11.807, 17.848)
H (26.360, 11.827, 18.265)
H (26.528, 14.598, 20.006)
C (20.136, 18.995, 21.437)
C (21.620, 19.293, 21.249)
C (22.277, 18.209, 20.345)
O (21.688, 20.602, 20.682)
H (19.539, 19.203, 20.549)
H (19.739, 19.651, 22.211)
H (20.044, 17.919, 21.583)
H (22.227, 19.374, 22.150)
H (22.001, 17.223, 20.717)
H (23.363, 18.295, 20.379)
H (21.936, 18.354, 19.319)
H (21.541, 20.482, 19.741)
C (11.383, 14.138, 19.399)
C (10.566, 13.872, 18.144)
C (9.488, 12.724, 18.331)
O (9.848, 15.044, 17.998)
H (11.702, 13.232, 19.914)
H (10.887, 14.773, 20.133)
H (12.273, 14.714, 19.142)
H (11.223, 13.727, 17.287)
H (9.932, 11.729, 18.354)
H (8.913, 12.750, 17.406)
H (8.864, 12.920, 19.203)
H (10.352, 15.732, 17.558)
C (14.891, 13.523, 24.221)
C (15.657, 12.231, 24.498)
C (15.990, 11.459, 23.201)
O (16.806, 12.530, 25.242)
H (14.183, 13.332, 23.415)
H (15.515, 14.306, 23.791)
H (14.321, 13.934, 25.055)
H (14.999, 11.592, 25.086)
H (16.837, 11.917, 22.690)
H (15.167, 11.371, 22.491)
H (16.273, 10.446, 23.488)
H (16.516, 12.623, 26.152)
C (21.482, 17.639, 11.936)
C (21.930, 17.109, 10.538)
C (22.773, 18.060, 9.737)
O (22.583, 15.939, 10.781)
H (22.339, 17.994, 12.509)
H (20.997, 16.888, 12.560)
H (20.773, 18.456, 11.807)
H (21.003, 16.835, 10.035)
H (23.735, 18.312, 10.182)
H (22.225, 19.001, 9.694)
H (22.865, 17.686, 8.717)
H (22.479, 15.411, 9.986)
C (19.237, 14.624, 13.397)
C (18.361, 14.975, 14.609)
C (16.928, 15.297, 14.173)
O (18.416, 13.872, 15.397)
H (19.115, 13.570, 13.149)
H (20.290, 14.750, 13.648)
H (19.003, 15.319, 12.591)
H (18.686, 15.803, 15.239)
H (16.994, 16.127, 13.470)
H (16.261, 15.439, 15.024)
H (16.491, 14.434, 13.669)
H (18.711, 14.046, 16.293)
C (14.945, 12.468, 16.131)
C (14.012, 13.250, 15.279)
C (12.671, 12.581, 14.951)
O (13.700, 14.367, 16.063)
H (14.684, 12.394, 17.187)
H (15.988, 12.767, 16.023)
H (15.039, 11.496, 15.646)
H (14.461, 13.608, 14.352)
H (11.878, 13.250, 14.616)
H (12.313, 11.996, 15.798)
H (12.779, 11.836, 14.161)
H (13.234, 14.823, 15.358)
C (17.752, 21.039, 14.725)
C (18.679, 21.834, 13.810)
C (18.492, 23.303, 14.124)
O (20.014, 21.523, 14.167)
H (17.964, 19.970, 14.735)
H (16.701, 21.101, 14.443)
H (17.885, 21.377, 15.753)
H (18.583, 21.652, 12.739)
=====

== Worked solution ==
H (16.273, 10.446, 23.488)
H (16.516, 12.623, 26.152)
C (21.482, 17.639, 11.936)
C (21.930, 17.109, 10.538)
C (22.773, 18.060, 9.737)
O (22.583, 15.939, 10.781)
H (22.339, 17.994, 12.509)
H (20.997, 16.888, 12.560)
H (20.773, 18.456, 11.807)
H (21.003, 16.835, 10.035)
H (23.735, 18.312, 10.182)
H (22.225, 19.001, 9.694)
H (22.865, 17.686, 8.717)
H (22.479, 15.411, 9.986)
C (19.237, 14.624, 13.397)
C (18.361, 14.975, 14.609)
C (16.928, 15.297, 14.173)
O (18.416, 13.872, 15.397)
H (19.115, 13.570, 13.149)
H (20.290, 14.750, 13.648)
H (19.003, 15.319, 12.591)
H (18.686, 15.803, 15.239)
H (16.994, 16.127, 13.470)
H (16.261, 15.439, 15.024)
H (16.491, 14.434, 13.669)
H (18.711, 14.046, 16.293)
C (14.945, 12.468, 16.131)
C (14.012, 13.250, 15.279)
C (12.671, 12.581, 14.951)
O (13.700, 14.367, 16.063)
H (14.684, 12.394, 17.187)
H (15.988, 12.767, 16.023)
H (15.039, 11.496, 15.646)
H (14.461, 13.608, 14.352)
H (11.878, 13.250, 14.616)
H (12.313, 11.996, 15.798)
H (12.779, 11.836, 14.161)
H (13.234, 14.823, 15.358)
C (17.752, 21.039, 14.725)
C (18.679, 21.834, 13.810)
C (18.492, 23.303, 14.124)
O (20.014, 21.523, 14.167)
H (17.964, 19.970, 14.735)
H (16.701, 21.101, 14.443)
H (17.885, 21.377, 15.753)
H (18.583, 21.652, 12.739)